-- Work order --
Echo everything below word for word, please.

-- Given --
No. 1
VASP calculation (PBE) on a relaxed structure of NaBeCl3.

Calculated values
Its calculated total energy is -0.076 hartree per atom. Its density of states at the Fermi level is 2.5 states/eV/cell.

a = 5.007 Å, b = 5.007 Å, c = 5.007 Å
α = 90.00°, β = 90.00°, γ = 90.00°
Atoms (fractional coordinates):
Cl 0.000 0.500 0.000
Cl 0.000 0.000 0.500
Na 0.000 0.000 0.000
Be 0.500 0.500 0.500
Cl 0.500 0.000 0.000

No. 2
VASP calculation (PBE) on a relaxed structure of KHg3Pd3.

Calculated values
Its calculated total energy is -0.088 hartree per atom. Its density of states at the Fermi level is 4.1 states/eV/cell. The formation energy is 108 meV per atom.

a = 7.547 Å, b = 7.547 Å, c = 7.547 Å
α = 90.00°, β = 90.00°, γ = 90.00°
Atoms (fractional coordinates):
Hg 0.000 0.500 0.250
Pd 0.500 0.000 0.250
Pd 0.250 0.500 0.000
Hg 0.750 0.000 0.500
Pd 0.750 0.500 0.000
Hg 0.000 0.500 0.750
Hg 0.500 0.750 0.000
Pd 0.000 0.250 0.500
Hg 0.250 0.000 0.500
K 0.500 0.500 0.500
Pd 0.500 0.000 0.750
Pd 0.000 0.750 0.500
K 0.000 0.000 0.000
Hg 0.500 0.250 0.000

No. 3
VASP calculation (PBE) on a relaxed structure of SbW2Au.

Calculated values
Its calculated total energy is -0.274 hartree per atom. Its density of states at the Fermi level is 3.3 states/eV/cell.

a = 2.884 Å, b = 2.884 Å, c = 8.944 Å
α = 90.00°, β = 90.00°, γ = 103.74°
Atoms (fractional coordinates):
Sb 0.500 0.500 0.750
Au 0.500 0.500 0.250
W 0.000 0.000 0.005
W 0.000 0.000 0.495

No. 4
VASP calculation (PBE) on a relaxed structure of Na2MoRu.

Calculated values
Its calculated total energy is -0.150 hartree per atom. Its density of states at the Fermi level is 5.9 states/eV/cell. The formation energy is 1613 meV per atom.

a = 4.752 Å, b = 4.752 Å, c = 4.752 Å
α = 60.00°, β = 60.00°, γ = 60.00°
Atoms (fractional coordinates):
Na 0.750 0.750 0.750
Na 0.250 0.250 0.250
Mo 0.000 0.000 0.000
Ru 0.500 0.500 0.500

Q: Among the records above, which one has the highest calculated total energy?
A: NaBeCl3

Q: What is the formula in the first record?
A: NaBeCl3

Q: Look up the density of states at the Fermi level of the second one.
A: 4.1 states/eV/cell

-- Here it is --
No. 1
VASP calculation (PBE) on a relaxed structure of NaBeCl3.

Calculated values
Its calculated total energy is -0.076 hartree per atom. Its density of states at the Fermi level is 2.5 states/eV/cell.

a = 5.007 Å, b = 5.007 Å, c = 5.007 Å
α = 90.00°, β = 90.00°, γ = 90.00°
Atoms (fractional coordinates):
Cl 0.000 0.500 0.000
Cl 0.000 0.000 0.500
Na 0.000 0.000 0.000
Be 0.500 0.500 0.500
Cl 0.500 0.000 0.000

No. 2
VASP calculation (PBE) on a relaxed structure of KHg3Pd3.

Calculated values
Its calculated total energy is -0.088 hartree per atom. Its density of states at the Fermi level is 4.1 states/eV/cell. The formation energy is 108 meV per atom.

a = 7.547 Å, b = 7.547 Å, c = 7.547 Å
α = 90.00°, β = 90.00°, γ = 90.00°
Atoms (fractional coordinates):
Hg 0.000 0.500 0.250
Pd 0.500 0.000 0.250
Pd 0.250 0.500 0.000
Hg 0.750 0.000 0.500
Pd 0.750 0.500 0.000
Hg 0.000 0.500 0.750
Hg 0.500 0.750 0.000
Pd 0.000 0.250 0.500
Hg 0.250 0.000 0.500
K 0.500 0.500 0.500
Pd 0.500 0.000 0.750
Pd 0.000 0.750 0.500
K 0.000 0.000 0.000
Hg 0.500 0.250 0.000

No. 3
VASP calculation (PBE) on a relaxed structure of SbW2Au.

Calculated values
Its calculated total energy is -0.274 hartree per atom. Its density of states at the Fermi level is 3.3 states/eV/cell.

a = 2.884 Å, b = 2.884 Å, c = 8.944 Å
α = 90.00°, β = 90.00°, γ = 103.74°
Atoms (fractional coordinates):
Sb 0.500 0.500 0.750
Au 0.500 0.500 0.250
W 0.000 0.000 0.005
W 0.000 0.000 0.495

No. 4
VASP calculation (PBE) on a relaxed structure of Na2MoRu.

Calculated values
Its calculated total energy is -0.150 hartree per atom. Its density of states at the Fermi level is 5.9 states/eV/cell. The formation energy is 1613 meV per atom.

a = 4.752 Å, b = 4.752 Å, c = 4.752 Å
α = 60.00°, β = 60.00°, γ = 60.00°
Atoms (fractional coordinates):
Na 0.750 0.750 0.750
Na 0.250 0.250 0.250
Mo 0.000 0.000 0.000
Ru 0.500 0.500 0.500

Q: Among the records above, which one has the highest calculated total energy?
A: NaBeCl3

Q: What is the formula in the first record?
A: NaBeCl3

Q: Look up the density of states at the Fermi level of the second one.
A: 4.1 states/eV/cell